_Entries_
+++
C33H37F16N3O12 | ωB97M-V/def2-TZVPD

```
101
Properties=species:S:1:pos:R:3:forces:R:3:lowdin_charge:R:1
C 0.72725 6.18802 -6.42953 -0.7 -0.8 0.4 0.03
C 1.05608 4.96985 -5.56248 0.6 0.2 -0.3 -0.48
O 2.17857 4.64787 -5.29061 -0.6 0.1 0.1 0.15
O -0.03741 4.22261 -5.13914 0.3 1.0 0.0 -0.05
C -0.34123 4.42281 -3.74558 -0.7 -1.4 0.1 -0.07
C -0.17304 3.06842 -3.04425 0.3 1.2 -0.1 -0.03
C -1.01934 1.99638 -3.29246 0.4 0.8 -0.6 -0.03
C -2.18934 2.14631 -4.25386 -0.9 -0.4 0.7 -0.12
O -2.22293 1.18260 -5.28314 0.0 0.6 -0.3 -0.05
C -1.58507 1.58696 -6.45716 0.4 0.0 -0.1 -0.25
O -2.46846 1.49554 -7.56215 0.8 0.1 0.3 -0.08
C -1.70141 1.76301 -8.73852 -0.6 0.1 -0.1 -0.20
C -2.28594 2.92258 -9.56358 0.4 -0.7 -0.9 -0.24
O -3.70093 2.91622 -9.65342 0.3 0.2 0.2 -0.05
C -0.76310 0.79584 -2.63693 -1.3 -1.0 -0.2 -0.19
O -1.57260 -0.28260 -2.88211 0.0 -0.1 0.1 0.09
C 0.26505 0.66813 -1.75111 0.3 -0.2 0.3 0.02
C 1.06933 1.76852 -1.49298 0.8 -1.2 1.0 0.01
C 0.86868 2.93677 -2.13423 0.0 0.3 -0.4 -0.12
O 1.71493 4.04464 -1.86356 -0.6 -0.1 0.6 0.10
C 1.08364 4.80291 -1.01180 -0.4 1.7 0.6 -0.33
N 0.49914 5.57512 -0.36091 0.9 -1.3 -0.8 0.19
C 2.08714 1.35582 -0.43825 -0.9 1.1 -1.2 -0.33
O 2.78586 2.09426 0.20374 0.1 -0.6 0.0 0.15
N 1.96159 -0.02092 -0.38786 0.1 -1.0 2.0 0.05
C 2.60149 -0.76312 0.69747 1.1 -0.3 0.3 -0.13
C 3.68793 -1.72676 0.17408 -0.3 0.5 0.5 -0.15
C 5.00630 -1.00494 -0.22189 -0.2 -0.9 -0.3 -0.16
C 5.24849 -1.25455 -1.72398 0.1 0.4 1.2 -0.20
N 6.55908 -0.76851 -2.20006 -0.5 -1.1 -1.1 -0.08
C 6.51026 -0.76026 -3.69307 0.3 0.7 -0.5 -0.06
C 7.60627 -1.60645 -1.78577 0.9 -0.3 0.6 -0.50
C 9.03262 -1.32495 -2.27149 -0.5 0.0 -0.6 0.00
O 7.45298 -2.55420 -1.04283 -0.3 0.3 0.1 0.07
C 0.75325 -0.51844 -0.91922 0.4 1.3 -1.1 -0.31
O 0.31597 -1.62002 -0.74171 0.0 0.4 0.1 0.15
H 1.16145 7.07074 -5.95675 0.2 -0.1 -0.3 0.09
H 1.11710 5.98535 -7.43009 0.2 0.3 0.2 0.09
H -0.35648 6.31666 -6.49972 0.2 0.0 0.0 0.08
H -1.40579 4.66811 -3.68709 0.3 0.4 0.0 0.14
H 0.26314 5.20187 -3.28209 -0.1 -0.1 -0.2 0.13
H -2.27402 3.16487 -4.64491 0.2 -0.3 -0.1 0.12
H -3.10749 1.99545 -3.66206 0.2 -0.1 -0.2 0.15
H -0.70030 0.93797 -6.59247 -0.3 0.0 -0.2 0.15
H -1.23361 2.63027 -6.41465 -0.1 -0.2 0.4 0.12
H -1.68645 0.82748 -9.31468 0.1 0.3 -0.1 0.13
H -0.66762 2.05294 -8.49394 -0.1 -0.3 -0.1 0.12
H -1.89405 2.77906 -10.58773 0.2 0.2 0.3 0.12
H -1.89108 3.89587 -9.24950 -0.5 -0.1 0.3 0.11
H -3.91230 2.36763 -10.41296 -0.2 0.0 0.1 0.09
H -2.37461 -0.21443 -2.34962 0.0 -0.1 -0.1 0.13
H 1.88264 -1.29915 1.32859 -0.2 0.1 -0.5 0.12
H 3.09625 -0.03840 1.35592 -0.2 0.0 -0.2 0.12
H 3.26517 -2.29082 -0.66694 0.1 0.0 0.1 0.11
H 3.89160 -2.44155 0.98069 -0.1 0.0 -0.2 0.12
H 5.81126 -1.46641 0.35566 0.0 0.2 -0.2 0.10
H 4.98195 0.06234 0.02573 -0.1 -0.1 -0.2 0.11
H 4.44013 -0.73544 -2.25178 0.3 -0.1 -0.2 0.12
H 5.18297 -2.33576 -1.91458 -0.1 0.2 0.0 0.13
H 7.28713 -1.39041 -4.14037 -0.1 0.2 0.1 0.09
H 6.61670 0.25306 -4.10046 0.1 -0.2 0.2 0.09
H 5.55457 -1.14115 -4.06599 0.1 0.0 0.3 0.08
H 9.70993 -1.19644 -1.42447 -0.3 0.1 0.0 0.09
H 9.36427 -2.23571 -2.78575 0.0 0.2 0.0 0.09
H 9.09115 -0.48140 -2.96572 0.1 -0.1 0.3 0.07
C -1.39303 -0.41045 2.36031 0.6 -0.4 -0.1 -0.03
C -2.45352 0.59008 1.85630 -0.3 -0.9 0.2 -0.43
C -2.71295 1.83153 2.71659 -0.1 0.7 -0.1 -0.30
F -3.15485 1.52572 3.94793 0.0 -0.3 0.0 0.10
F -3.67111 2.59036 2.13229 0.1 -0.1 -0.2 0.10
F -3.60390 -0.07497 1.61527 -0.1 0.1 0.1 0.13
F -2.01773 1.03402 0.64359 0.3 0.3 0.0 0.10
O -1.86133 -1.56693 3.05668 -0.6 0.5 0.3 0.05
C -2.13477 -1.51380 4.41244 1.0 0.2 -0.7 -0.53
C -3.61888 -1.73911 4.71819 -0.5 -0.2 0.0 -0.28
F -4.40012 -0.84476 4.09219 0.1 0.1 -0.1 0.11
F -3.83609 -1.60609 6.05091 0.2 0.0 0.0 0.08
F -1.66284 -0.37534 4.94793 -0.3 0.0 0.2 0.15
F -1.43734 -2.52064 4.98506 -0.2 -0.2 0.1 0.14
H -0.93051 -0.82572 1.46382 -0.2 0.0 -0.1 0.13
H -0.57747 0.08007 2.89325 -0.2 0.2 0.2 0.15
H -1.80731 2.43846 2.80669 0.1 -0.1 -0.1 0.18
H -3.92966 -2.73860 4.40583 0.2 -0.1 0.0 0.18
C -3.70823 -3.80160 8.32889 0.0 -0.1 -0.6 -0.04
+++

_Wanted_
It remains to search the block earlier on for the word "lowdin_charge" and return each line that has it.

_Solution_
Properties=species:S:1:pos:R:3:forces:R:3:lowdin_charge:R:1